Exercise >
Could you copy the notes underneath from the first line to the one with "0.987 8.337" unchanged?

File >
No. 1
A plane-wave DFT calculation with PBEsol was carried out for a relaxed structure of ScAsP3.

extended XYZ file:
```
5
Lattice="4.816 0.000 0.000 0.000 4.816 0.000 0.000 0.000 4.816" Properties=species:S:1:pos:R:3 pbc="T T T"
Sc 0.000 0.000 0.000
As 2.408 2.408 2.408
P 0.000 0.000 2.408
P 0.000 2.408 0.000
P 2.408 0.000 0.000
```

Computed properties:
Space-group type: Pm-3m (221)
Formation energy, eV per formula unit: 3.71
VASP energy, eV for the cell shown: -25.37

---

No. 2
A plane-wave DFT calculation with PBEsol was carried out for a relaxed structure of ScCd3Au.

extended XYZ file:
```
5
Lattice="5.070 0.000 0.000 0.000 5.070 0.000 0.000 0.000 5.070" Properties=species:S:1:pos:R:3 pbc="T T T"
Sc 0.000 0.000 0.000
Cd 0.000 2.535 2.535
Cd 2.535 0.000 2.535
Cd 2.535 2.535 0.000
Au 2.535 2.535 2.535
```

Computed properties:
Excess energy over the best structure of this formula in the dataset, eV/f.u.: 0.00
Space-group type: Pm-3m (221)
Formation energy, eV per formula unit: 1.45
VASP energy, eV for the cell shown: -12.67

---

No. 3
A plane-wave DFT calculation with PBEsol was carried out for a relaxed structure of MoRu2.

extended XYZ file:
```
12
Lattice="3.799 0.000 0.000 0.000 11.604 0.000 0.000 0.000 3.810" Properties=species:S:1:pos:R:3 pbc="T T T"
Mo 0.000 1.032 0.953
Mo 0.000 10.572 2.858
Mo 1.900 4.770 2.858
Mo 1.900 6.834 0.953
Ru 0.000 2.885 2.858
Ru 0.000 4.813 0.953
Ru 0.000 6.791 2.858
Ru 0.000 8.719 0.953
Ru 1.900 0.989 2.858
Ru 1.900 2.917 0.953
Ru 1.900 8.687 2.858
Ru 1.900 10.615 0.953
```

Computed properties:
Space-group type: Cmcm (63)
Formation energy, eV per formula unit: 0.17
VASP energy, eV for the cell shown: -127.78

---

No. 4
A plane-wave DFT calculation with PBEsol was carried out for a relaxed structure of Zr3N4.

extended XYZ file:
```
7
Lattice="1.709 0.987 8.337 -1.709 0.987 8.337 0.000 -1.974 8.337" Properties=species:S:1:pos:R:3 pbc="T T T"
Zr 0.000 0.000 0.000
Zr 0.000 0.000 5.561
Zr 0.000 0.000 19.449
N 0.000 0.000 3.308
N 0.000 0.000 9.465
N 0.000 0.000 15.546
N 0.000 0.000 21.703
```

Computed properties:
E_form (uncorrected), eV/atom: -1.683
Excess energy over the best structure of this formula in the dataset, eV/f.u.: 0.31
Space-group type: R-3m (166)
VASP energy, eV for the cell shown: -73.16

---

No. 5
A plane-wave DFT calculation with PBEsol was carried out for a relaxed structure of CrCo2Ru.

extended XYZ file:
```
8
Lattice="4.941 0.000 0.000 0.000 7.175 0.000 0.000 0.000 2.498" Properties=species:S:1:pos:R:3 pbc="T T T"
Cr 0.000 0.000 0.000
Cr 2.470 3.588 0.000
Co 1.235 1.794 1.249
Co 1.235 5.381 1.249
Co 3.706 1.794 1.249
Co 3.706 5.381 1.249
Ru 0.000 3.588 0.000
Ru 2.470 0.000 0.000
```

Computed properties:
Excess energy over the best structure of this formula in the dataset, eV/f.u.: 0.18
Space-group type: Cmmm (65)
Formation energy, eV per formula unit: 0.33
VASP energy, eV for the cell shown: -71.12

---

No. 6
A plane-wave DFT calculation with PBEsol was carried out for a relaxed structure of Cr3Fe.

extended XYZ file:
```
8
Lattice="2.829 0.000 0.000 0.000 3.910 0.000 0.000 0.000 7.917" Properties=species:S:1:pos:R:3 pbc="T T T"
Cr 0.000 0.000 0.000
Cr 0.000 1.955 1.990
Cr 0.000 1.955 5.927
Cr 1.415 0.000 1.990
Cr 1.415 0.000 5.927
Cr 1.415 1.955 0.000
Fe 0.000 0.000 3.959
Fe 1.415 1.955 3.959
```

Computed properties:
Space-group type: Cmmm (65)
Formation energy, eV per formula unit: 0.16
VASP energy, eV for the cell shown: -79.06

---

No. 7
A plane-wave DFT calculation with PBEsol was carried out for a relaxed structure of LiYMo2.

extended XYZ file:
```
16
Lattice="6.484 0.000 0.000 0.000 6.484 0.000 0.000 0.000 6.484" Properties=species:S:1:pos:R:3 pbc="T T T"
Li 0.000 0.000 0.000
Li 0.000 3.242 3.242
Li 3.242 0.000 3.242
Li 3.242 3.242 0.000
Y 1.621 1.621 1.621
Y 1.621 4.863 4.863
Y 4.863 1.621 4.863
Y 4.863 4.863 1.621
Mo 0.000 0.000 3.242
Mo 0.000 3.242 0.000
Mo 1.621 1.621 4.863
Mo 1.621 4.863 1.621
Mo 3.242 0.000 0.000
Mo 3.242 3.242 3.242

Solution >
No. 1
A plane-wave DFT calculation with PBEsol was carried out for a relaxed structure of ScAsP3.

extended XYZ file:
```
5
Lattice="4.816 0.000 0.000 0.000 4.816 0.000 0.000 0.000 4.816" Properties=species:S:1:pos:R:3 pbc="T T T"
Sc 0.000 0.000 0.000
As 2.408 2.408 2.408
P 0.000 0.000 2.408
P 0.000 2.408 0.000
P 2.408 0.000 0.000
```

Computed properties:
Space-group type: Pm-3m (221)
Formation energy, eV per formula unit: 3.71
VASP energy, eV for the cell shown: -25.37

---

No. 2
A plane-wave DFT calculation with PBEsol was carried out for a relaxed structure of ScCd3Au.

extended XYZ file:
```
5
Lattice="5.070 0.000 0.000 0.000 5.070 0.000 0.000 0.000 5.070" Properties=species:S:1:pos:R:3 pbc="T T T"
Sc 0.000 0.000 0.000
Cd 0.000 2.535 2.535
Cd 2.535 0.000 2.535
Cd 2.535 2.535 0.000
Au 2.535 2.535 2.535
```

Computed properties:
Excess energy over the best structure of this formula in the dataset, eV/f.u.: 0.00
Space-group type: Pm-3m (221)
Formation energy, eV per formula unit: 1.45
VASP energy, eV for the cell shown: -12.67

---

No. 3
A plane-wave DFT calculation with PBEsol was carried out for a relaxed structure of MoRu2.

extended XYZ file:
```
12
Lattice="3.799 0.000 0.000 0.000 11.604 0.000 0.000 0.000 3.810" Properties=species:S:1:pos:R:3 pbc="T T T"
Mo 0.000 1.032 0.953
Mo 0.000 10.572 2.858
Mo 1.900 4.770 2.858
Mo 1.900 6.834 0.953
Ru 0.000 2.885 2.858
Ru 0.000 4.813 0.953
Ru 0.000 6.791 2.858
Ru 0.000 8.719 0.953
Ru 1.900 0.989 2.858
Ru 1.900 2.917 0.953
Ru 1.900 8.687 2.858
Ru 1.900 10.615 0.953
```

Computed properties:
Space-group type: Cmcm (63)
Formation energy, eV per formula unit: 0.17
VASP energy, eV for the cell shown: -127.78

---

No. 4
A plane-wave DFT calculation with PBEsol was carried out for a relaxed structure of Zr3N4.

extended XYZ file:
```
7
Lattice="1.709 0.987 8.337 -1.709 0.987 8.337 0.000 -1.974 8.337" Properties=species:S:1:pos:R:3 pbc="T T T"